1/20 |
Instruction: Course introduction, syllabus review, required supplies
Instruction: 5 shot +1 rule,
Rule of thirds example 1 example 2 |
Purchase supplies & textbook
5 shot +1: Photo exercise (A)
(Individual in class) link to assignment
5 shot +1: Photo exercise (B) (Individual outside of class time)
link to assignment |
1. About Video
2. Getting Started
3. Video Comm.
1/27 |
Present & Review: 5 shot +1 photo exercise
Discussion: Camera angles, lighting,
and rule of third.
Create video teams
Tech demo: Video equipment |
5 shot +1: Video exercise: Filming (Team) link to assignemnt
Take home test Chapters 1-8(Individual) |
4. Video Space
5. Video Time
6. Video Composition
2/17 |
Edit: From an animal's point of view
Premier adding background music. Link to music sources
Footage of From an animal's point of view: (editing in class next week)
1 minute video filmed entirely through the eyes of an animal of your choice. The animal does not appear in the video
One day in the animals life from morning until night.
Your camera should be at the level of the animals eyes and a include each of the six basic camera angles at least one or more times. And include tilts and pans
Camera motions should speed up and slow down when mimicking walking and running and bounce up and down when mimicking jumping etc.
For example:
A snake filmed entirely form on the ground looking straight ahead or up.
My dog Bronx filmed mostly from about 1 foot above the ground and sometimes higher when on his hind legs or when he jumps up on and off furniture.
If a squirrel a lot of filming from up in a tree.
Be creative, have fun create and produce an entertaining story! |
12. Camera Systems
13. Camera Operation |
3/3 |
Take home test Chapters 9-17
Title motion graphic for animal point-of-view video:
Discussion: Motion graphis and After Effects: creating compositions, layers, animating text, exporting files Tutorials
Add sound effects to animal point-of-view video. Export your file and upload to course Google drive with file name "your full name animal pov-sfx"
3/10 |
Submit: Take Home Test Chap 8-17
Present & Review: Title motion graphic for animal point-of-view video
Discussion: Public Service Announcement (PSA) motion graphics videos |
Title motion graphic for animal point-of-view video: Export your completed motion graphic as MP4 and name the file "your name title graphic". Upload the file to the course Google drive.
Due by end of class:
Pre-production Public Service Announcement (PSA) motion graphics.
1) Pre-production: script/message and storyboard
18. Directing for Content
19. Directing for Form |
3/24 |
Take home test Chapters 9-15 (Individual) Test on Canvas under assignments
Review title motion graphic
PSAs and comedy PSAs
Student examples
Public Service Announcement (PSA) -
is a message in the public interest disseminated without charge.
PSAs can create awareness, show the importance of a problem or issue, convey information, or promote a behavioral change. |
Misplaced data records:
-- begin --
Simulated XRD peak list
Compound: RbIn2CuS4
Radiation: Cu Kα X-rays
Structure: a GGA-PBE-relaxed structure
Lines closer than 0.1° are merged.

Cell and atoms:
Cell lengths 7.3933, 7.3909, 5.9925 Å; angles 66.11, 66.07, 47.82 degrees
Sites, in units of the cell vectors:
Rb  0.0000  0.0000  0.0000
In  0.2504  0.2504  0.2496
In  0.7504  0.7504  0.7496
Cu  0.5005  0.5005  0.4995
S  0.1642  0.5606  0.4394
S  0.4399  0.8368  0.5601
S  0.5606  0.1642  0.8358
S  0.8368  0.4399  0.1632

Most intense lines, 2θ = 15–90°, sorted by position:
- 25.66 deg, I 100
- 29.49 deg, I 7
- 29.82 deg, I 16
- 42.44 deg, I 37
- 42.68 deg, I 17
- 50.04 deg, I 16
- 50.46 deg, I 29
- 52.73 deg, I 8
- 67.83 deg, I 10
- 77.97 deg, I 8

~~~~~

Starting from a GGA-PBE-relaxed structure, the XRD peak list of Ac2Cd7Sn was computed for Cu Kα X-rays.

Principal peaks in the range 2θ from 15° to 90°, most intense first:
2θ/deg, d/Å, I/Imax, index
30.38, 2.942, 100, 1 1 2
28.88, 3.092, 55, 1 0 3
37.91, 2.373, 54, 2 0 0
41.55, 2.174, 33, 1 0 5
48.35, 1.883, 27, 2 1 3
57.50, 1.603, 25, 2 1 5
63.86, 1.458, 24, 3 1 2
54.70, 1.678, 18, 2 2 0
26.56, 3.356, 14, 1 1 0
73.74, 1.285, 13, 2 0 8

Cell and atoms:
Unit cell a=4.7463 b=4.7463 c=12.2251 alpha=90.00 beta=90.00 gamma=90.00
Space group P-4m2 (No. 115)
One atom of each set of equivalent atoms:
Ac: 0.0000 0.5000 0.2492 x2
Cd: 0.0000 0.0000 0.0000 x1
Cd: 0.0000 0.0000 0.5000 x1
Cd: 0.0000 0.5000 0.6353 x2
Cd: 0.0000 0.5000 0.8605 x2
Cd: 0.5000 0.5000 0.5000 x1
Sn: 0.5000 0.5000 0.0000 x1
-- stop --
Public Service Announcement (PSA) motion graphics. Export your completed motion graphic as MP4 and name the file "your name PSA Motion graphic". Upload the file to the course Google drive.
By end of class PSA Comedy videos Related to the greater good!
Preproduction program development:
1) PSA catch line/slogan
2) Ojective: what viewing audience behavior you want to change
3) Audience; greater Marymount community
4) Program length 15 or 30 seconds each
5) Choose your story telling approach: joke, parody, prank, satire, pun, exaggeration, mixed
6) Choose your performance method: surprise, ironic, incongruity/contradiction, slapstick
7) Choose the audience’s emotional response you want to occur:
sadness to joy, disgust to trust, anticipation to surprise
8) Treatment: detailed description of your concept including the stylistic approach |
20. Editing Operations
21. Editing Principles
Public Service Announcement -
is a message in the public interest disseminated without charge.
PSAs can create awareness, show the importance of a problem or issue, convey information, or promote a behavioral change.
Storytelling humor:
Joke - a thing that someone says to cause amusement or laughter, especially a story with a funny punchline.
Parody - an imitation of the style of a particular writer, artist, or genre with deliberate exaggeration for comic effect.
Prank - a practical joke or mischievous act.
Satire - the use of humor, irony, exaggeration, or ridicule to expose and criticize people's stupidity or vices, particularly in the context of contemporary politics and other topical issues.
Pun - a joke exploiting the different possible meanings of a word or the fact that there are words which sound alike but have different meanings.
Exaggeration - a statement that represents something as better or worse than it really is.
Mixed metaphor - a combination of two or more incompatible metaphors, which produces a ridiculous effect |